<<<
237
Properties=species:S:1:pos:R:3:forces:R:3:lowdin_charge:R:1 method="wB97M-V/def2-TZVPD" energy_ev=-124540.5848 lumo_ev=-0.212 charge=0
C 1.1442 1.8172 6.0865 -2.5 -2.3 0.9 -0.314
O 0.5120 0.8945 6.6637 1.7 2.1 -0.9 -0.041
N 2.2823 1.6700 5.4096 1.0 -1.0 -0.9 -0.174
C 2.7588 2.7091 4.4871 -0.1 0.0 1.6 -0.033
C 2.9184 0.3376 5.3201 -0.1 0.4 0.6 -0.029
H 0.6877 2.8171 6.0240 0.3 0.1 0.1 0.130
H 2.0248 3.5079 4.5929 0.1 0.1 -0.7 0.067
H 2.8938 2.3392 3.4707 -0.2 0.1 0.0 0.081
H 3.6935 3.1117 4.8772 0.2 0.0 -0.3 0.090
H 2.4824 -0.3443 6.0502 -0.3 0.2 -0.2 0.083
H 2.8257 -0.0991 4.3257 -0.2 0.1 -0.1 0.073
H 3.9740 0.3959 5.5853 0.1 0.3 -0.2 0.087
C -4.4498 -1.3755 -1.2626 -0.4 -2.5 1.1 -0.315
O -5.1088 -2.3540 -0.8467 1.1 1.7 -0.6 -0.034
N -4.9139 -0.4624 -2.0974 -0.3 2.9 -1.4 -0.138
C -6.2978 -0.3781 -2.5431 -0.4 -1.0 -0.6 -0.045
C -4.1499 0.7285 -2.5669 -0.2 0.4 -0.4 -0.041
H -3.3907 -1.2263 -1.0015 -0.1 0.0 0.0 0.123
H -6.7602 0.5876 -2.3388 0.2 0.0 0.3 0.090
H -6.9338 -1.1894 -2.1890 0.4 0.1 0.7 0.091
H -6.3413 -0.5388 -3.6204 0.2 0.3 -0.3 0.087
H -4.3156 0.9599 -3.6191 0.0 -1.1 -0.6 0.080
H -4.5447 1.6912 -2.2420 -0.3 -0.1 1.3 0.063
H -3.0701 0.7618 -2.4219 -0.1 -0.7 0.4 0.073
C -2.8137 3.2091 3.8156 -0.6 0.2 1.7 -0.304
O -2.4668 2.0530 3.9985 0.0 0.2 -0.6 -0.013
N -3.4461 3.9650 4.7843 0.6 -2.2 -0.7 -0.176
C -3.7973 5.3164 4.5378 0.2 1.4 0.4 -0.082
C -3.8685 3.4115 6.0856 -0.2 0.2 0.2 -0.033
H -2.6601 3.7786 2.8859 0.1 -0.1 0.0 0.122
H -4.8661 5.4990 4.4261 -0.2 -0.2 0.2 0.090
H -3.3127 5.7889 3.6834 0.2 -0.6 -0.2 0.069
H -3.4071 5.8822 5.3838 -0.3 0.4 0.1 0.094
H -3.3128 3.8377 6.9209 0.1 0.5 -0.1 0.086
H -4.9242 3.6430 6.2269 -0.1 0.2 0.0 0.085
H -3.7777 2.3469 6.3011 0.3 -0.1 -1.2 0.084
C -4.4699 -1.1920 2.9330 -1.5 0.3 -1.0 -0.335
O -4.5508 -2.3823 3.1274 0.8 -0.8 0.5 0.009
N -5.4518 -0.5241 2.2652 0.4 0.2 0.6 -0.172
C -5.2716 0.8663 1.9093 -0.4 -0.1 -0.6 -0.061
C -6.6875 -1.1421 1.7696 0.5 -0.2 0.1 -0.023
H -3.6460 -0.5295 3.2403 0.1 -0.1 0.1 0.113
H -6.2390 1.3520 2.0372 0.1 0.4 0.1 0.085
H -5.0234 0.9052 0.8486 0.0 0.4 -0.3 0.071
H -4.4952 1.4060 2.4515 0.0 -0.4 0.2 0.068
H -6.5910 -1.4032 0.7157 -0.1 0.3 -0.2 0.064
H -6.9412 -2.0875 2.2491 0.3 0.2 0.4 0.085
H -7.4918 -0.4265 1.9399 -0.1 -0.1 -0.1 0.085
C -1.3829 -3.6318 6.0472 -1.1 -0.9 -0.2 -0.340
O -1.6087 -4.5913 6.7997 0.6 1.5 -0.9 -0.023
N -1.9993 -2.4304 6.0829 -1.3 -1.1 2.6 -0.159
C -1.6777 -1.2979 5.2791 0.6 0.4 -0.8 -0.071
C -2.9534 -2.1754 7.2309 1.2 1.3 -0.9 -0.011
H -0.7749 -3.6918 5.1312 0.5 -0.2 0.2 0.107
H -0.8559 -0.7194 5.7010 -0.3 0.4 0.3 0.073
H -2.5732 -0.7080 5.0834 0.1 0.2 0.4 0.069
H -1.3177 -1.5589 4.2839 0.0 -0.6 -0.1 0.073
H -2.7503 -1.1444 7.5204 -0.1 0.3 -0.1 0.073
H -3.9832 -2.1961 6.8743 0.0 -0.5 0.2 0.086
H -2.7392 -2.6993 8.1624 -0.1 -0.8 -0.7 0.084
C -6.3405 -5.1174 1.6585 -2.7 -0.5 0.6 -0.308
O -7.5075 -5.0582 2.0972 2.1 0.7 -0.7 -0.023
N -5.9299 -6.1487 0.9084 1.8 -1.6 -1.1 -0.160
C -4.4854 -6.4041 0.7627 0.1 0.1 -0.3 -0.049
C -6.7533 -7.2305 0.3517 -0.7 0.4 0.3 -0.039
H -5.5230 -4.3890 1.7747 -0.4 0.3 0.5 0.121
H -3.8437 -5.5459 0.9621 -0.5 0.3 0.2 0.058
H -4.2253 -6.7061 -0.2518 -0.3 -0.1 -0.1 0.067
H -4.1090 -7.1990 1.4066 -0.3 -0.2 0.3 0.096
H -6.4099 -8.2288 0.6229 0.3 0.1 0.3 0.087
H -7.7954 -7.1431 0.6593 0.2 0.2 0.3 0.084
H -6.7894 -7.2037 -0.7374 0.4 0.2 -0.2 0.073
C -4.8127 4.3458 -0.5812 0.0 0.6 -1.2 -0.355
O -4.2680 3.9453 0.4117 0.4 -0.4 1.1 0.018
N -4.1564 4.6614 -1.7302 -0.2 -0.1 0.2 -0.183
C -4.8468 4.8808 -3.0091 1.0 0.1 0.6 -0.044
C -2.6929 4.5211 -1.7925 -0.6 0.3 -0.2 -0.031
H -5.8910 4.5585 -0.6465 -0.1 -0.2 0.0 0.138
H -5.9255 5.0321 -2.9691 0.1 0.1 0.6 0.089
H -4.6780 4.0032 -3.6332 0.1 0.2 -0.4 0.079
H -4.3378 5.7724 -3.3751 -0.5 -0.1 -0.8 0.088
H -2.2071 4.9684 -0.9254 -0.3 -0.4 0.1 0.064
H -2.4184 3.4761 -1.9367 0.2 -0.1 0.3 0.083
H -2.3034 5.0756 -2.6463 -0.3 0.0 -0.1 0.073
C 2.4116 -3.8430 4.4633 0.3 1.3 0.0 -0.309
O 1.7276 -3.0048 5.0233 -0.1 -0.6 0.0 0.010
N 2.6067 -3.8758 3.1194 1.0 -0.7 1.0 -0.172
>>>
It remains to return the part of the material further above that starts with the line with "-0.1 1.3" and stops after the one with "5.1312 0.5".
H -4.5447 1.6912 -2.2420 -0.3 -0.1 1.3 0.063
H -3.0701 0.7618 -2.4219 -0.1 -0.7 0.4 0.073
C -2.8137 3.2091 3.8156 -0.6 0.2 1.7 -0.304
O -2.4668 2.0530 3.9985 0.0 0.2 -0.6 -0.013
N -3.4461 3.9650 4.7843 0.6 -2.2 -0.7 -0.176
C -3.7973 5.3164 4.5378 0.2 1.4 0.4 -0.082
C -3.8685 3.4115 6.0856 -0.2 0.2 0.2 -0.033
H -2.6601 3.7786 2.8859 0.1 -0.1 0.0 0.122
H -4.8661 5.4990 4.4261 -0.2 -0.2 0.2 0.090
H -3.3127 5.7889 3.6834 0.2 -0.6 -0.2 0.069
H -3.4071 5.8822 5.3838 -0.3 0.4 0.1 0.094
H -3.3128 3.8377 6.9209 0.1 0.5 -0.1 0.086
H -4.9242 3.6430 6.2269 -0.1 0.2 0.0 0.085
H -3.7777 2.3469 6.3011 0.3 -0.1 -1.2 0.084
C -4.4699 -1.1920 2.9330 -1.5 0.3 -1.0 -0.335
O -4.5508 -2.3823 3.1274 0.8 -0.8 0.5 0.009
N -5.4518 -0.5241 2.2652 0.4 0.2 0.6 -0.172
C -5.2716 0.8663 1.9093 -0.4 -0.1 -0.6 -0.061
C -6.6875 -1.1421 1.7696 0.5 -0.2 0.1 -0.023
H -3.6460 -0.5295 3.2403 0.1 -0.1 0.1 0.113
H -6.2390 1.3520 2.0372 0.1 0.4 0.1 0.085
H -5.0234 0.9052 0.8486 0.0 0.4 -0.3 0.071
H -4.4952 1.4060 2.4515 0.0 -0.4 0.2 0.068
H -6.5910 -1.4032 0.7157 -0.1 0.3 -0.2 0.064
H -6.9412 -2.0875 2.2491 0.3 0.2 0.4 0.085
H -7.4918 -0.4265 1.9399 -0.1 -0.1 -0.1 0.085
C -1.3829 -3.6318 6.0472 -1.1 -0.9 -0.2 -0.340
O -1.6087 -4.5913 6.7997 0.6 1.5 -0.9 -0.023
N -1.9993 -2.4304 6.0829 -1.3 -1.1 2.6 -0.159
C -1.6777 -1.2979 5.2791 0.6 0.4 -0.8 -0.071
C -2.9534 -2.1754 7.2309 1.2 1.3 -0.9 -0.011
H -0.7749 -3.6918 5.1312 0.5 -0.2 0.2 0.107